Contents:
No. 1
The following is a quantum chemistry calculation of 2 unconnected molecules or ions with the total composition C19H29FNO5P, from OMol25.

Results
Net charge ... -2
Orbital gap ... 2.7 eV
Spin multiplicity ... 1

Element x y z (Å)
C  -0.68088  3.63709  -2.13022
C  -2.13443  3.63198  -1.64370
C  -2.70057  2.19776  -1.56015
N  -2.68551  1.62728  -0.19739
C  -1.52863  0.93855  0.18914
C  -1.31206  0.73523  1.49030
C  -2.21667  1.23863  2.57013
C  -3.61106  0.61288  2.55600
F  -3.86739  0.05945  3.83367
C  -0.12732  -0.03932  1.89820
O  0.47891  0.19103  2.91318
C  0.22048  -1.15493  0.97999
C  0.80503  -2.42933  1.54867
C  2.28639  -2.62180  1.14972
C  3.31458  -1.63745  1.74879
C  3.40204  -0.29888  0.99834
C  3.16012  -1.37208  3.27102
C  -0.00100  -0.97612  -0.32570
P  0.30917  -2.20734  -1.61969
C  -0.50826  -1.58380  -3.16878
C  -0.59720  -3.79087  -1.23375
C  -0.51986  0.35868  -0.73036
O  -0.06408  0.88734  -1.70531
H  -0.54143  3.01645  -3.01479
H  -0.05059  3.17146  -1.37460
H  -0.27294  4.62436  -2.34588
H  -2.18894  4.15024  -0.68024
H  -2.73426  4.14605  -2.40263
H  -2.26172  1.54971  -2.31127
H  -3.76157  2.29832  -1.82826
H  -2.89520  2.39008  0.43776
H  -2.28923  2.33335  2.58198
H  -1.75800  0.97720  3.52435
H  -3.69525  -0.20849  1.84818
H  -4.40107  1.34966  2.41676
H  0.27366  -3.31286  1.18847
H  0.66292  -2.42904  2.62928
H  2.40815  -2.60775  0.06651
H  2.57817  -3.62419  1.49704
H  4.29480  -2.10718  1.61738
H  2.50642  0.30725  1.09974
H  4.21374  0.27130  1.46467
H  3.68383  -0.41231  -0.04891
H  4.11228  -1.59854  3.76742
H  3.00192  -0.30938  3.42496
H  2.40631  -1.98184  3.76440
H  -0.70594  -2.43067  -3.81998
H  0.10414  -0.81456  -3.63924
H  -1.44825  -1.10232  -2.87844
H  0.10805  -4.57948  -0.98126
H  -1.36199  -3.69624  -0.45902
H  -1.09219  -4.12025  -2.15122
C  2.42320  1.71553  -3.54049
O  2.38924  2.80046  -2.88553
O  1.53572  1.41261  -4.43683
O  3.33423  0.81708  -3.36242



No. 2
The following is a quantum chemistry calculation of 11 unconnected molecules or ions with the total composition C71H63O26PS, from OMol25.

Results
Net charge ... 0
Orbital gap ... 7.7 eV
Spin multiplicity ... 1

Element x y z (Å)
C  -0.80002  -0.55549  -1.93410
O  -1.72638  -0.17045  -0.93496
C  -1.39094  1.09473  -0.38958
C  -1.83458  1.21772  1.03820
C  -0.97193  0.43000  2.02227
C  -1.29357  -1.06877  2.12193
C  -0.48165  -1.98979  1.22157
C  1.01150  -1.67651  1.24256
C  1.79805  -2.83098  0.63100
C  2.97842  -2.41616  -0.23888
C  4.07344  -1.55517  0.38690
O  5.19718  -1.53146  -0.49092
P  3.57174  0.24348  0.59630
O  4.62654  1.20233  0.20260
C  4.64420  -2.07867  1.68759
O  3.62153  -2.07252  2.70039
S  3.00836  -3.59761  2.91133
O  2.08618  -3.41377  3.98405
O  2.07596  -3.87177  1.58648
H  0.22127  -0.59360  -1.54493
H  -1.07509  -1.52362  -2.31285
H  -0.81001  0.20039  -2.72264
H  -1.88198  1.87558  -0.97851
H  -0.32358  1.29191  -0.48864
H  -1.75461  2.27213  1.28608
H  -2.88195  0.96312  1.17401
H  0.06916  0.63795  1.78695
H  -1.14015  0.84487  3.00708
H  -2.33211  -1.19275  1.82005
H  -1.25302  -1.40851  3.15007
H  -0.86441  -2.00968  0.21162
H  -0.58878  -3.00221  1.60943
H  1.13598  -0.79656  0.62906
H  1.28775  -1.49985  2.27513
H  1.10244  -3.28971  -0.06313
H  2.55695  -1.85928  -1.07330
H  3.45934  -3.28552  -0.67512
H  4.90819  -1.16281  -1.34195
H  2.41332  0.45273  -0.17926
H  3.16749  0.38840  1.93655
H  5.42658  -1.39394  1.98886
H  5.06287  -3.07221  1.54419
C  -1.85282  -4.04673  -3.67743
C  -2.67254  -5.04118  -4.00101
C  -2.27446  -6.45486  -3.81277
O  -3.01787  -7.36946  -4.10569
C  -0.92636  -6.72044  -3.24994
C  -0.10814  -5.72380  -2.92537
C  -0.51145  -4.30741  -3.11423
O  0.23011  -3.39532  -2.80715
H  -2.12880  -3.00855  -3.80800
H  -3.65770  -4.86505  -4.41116
H  -0.65517  -7.76091  -3.11953
H  0.87816  -5.89346  -2.51141
C  2.22026  0.38357  5.10667
C  3.46004  0.33687  5.58537
C  4.09063  1.53274  6.19780
O  5.22321  1.48803  6.63323
C  3.29084  2.77914  6.25746

Exercise:
Your job: start at the top of the block further above and return each line, ending with the one that has "1.58648".

Written answer:
No. 1
The following is a quantum chemistry calculation of 2 unconnected molecules or ions with the total composition C19H29FNO5P, from OMol25.

Results
Net charge ... -2
Orbital gap ... 2.7 eV
Spin multiplicity ... 1

Element x y z (Å)
C  -0.68088  3.63709  -2.13022
C  -2.13443  3.63198  -1.64370
C  -2.70057  2.19776  -1.56015
N  -2.68551  1.62728  -0.19739
C  -1.52863  0.93855  0.18914
C  -1.31206  0.73523  1.49030
C  -2.21667  1.23863  2.57013
C  -3.61106  0.61288  2.55600
F  -3.86739  0.05945  3.83367
C  -0.12732  -0.03932  1.89820
O  0.47891  0.19103  2.91318
C  0.22048  -1.15493  0.97999
C  0.80503  -2.42933  1.54867
C  2.28639  -2.62180  1.14972
C  3.31458  -1.63745  1.74879
C  3.40204  -0.29888  0.99834
C  3.16012  -1.37208  3.27102
C  -0.00100  -0.97612  -0.32570
P  0.30917  -2.20734  -1.61969
C  -0.50826  -1.58380  -3.16878
C  -0.59720  -3.79087  -1.23375
C  -0.51986  0.35868  -0.73036
O  -0.06408  0.88734  -1.70531
H  -0.54143  3.01645  -3.01479
H  -0.05059  3.17146  -1.37460
H  -0.27294  4.62436  -2.34588
H  -2.18894  4.15024  -0.68024
H  -2.73426  4.14605  -2.40263
H  -2.26172  1.54971  -2.31127
H  -3.76157  2.29832  -1.82826
H  -2.89520  2.39008  0.43776
H  -2.28923  2.33335  2.58198
H  -1.75800  0.97720  3.52435
H  -3.69525  -0.20849  1.84818
H  -4.40107  1.34966  2.41676
H  0.27366  -3.31286  1.18847
H  0.66292  -2.42904  2.62928
H  2.40815  -2.60775  0.06651
H  2.57817  -3.62419  1.49704
H  4.29480  -2.10718  1.61738
H  2.50642  0.30725  1.09974
H  4.21374  0.27130  1.46467
H  3.68383  -0.41231  -0.04891
H  4.11228  -1.59854  3.76742
H  3.00192  -0.30938  3.42496
H  2.40631  -1.98184  3.76440
H  -0.70594  -2.43067  -3.81998
H  0.10414  -0.81456  -3.63924
H  -1.44825  -1.10232  -2.87844
H  0.10805  -4.57948  -0.98126
H  -1.36199  -3.69624  -0.45902
H  -1.09219  -4.12025  -2.15122
C  2.42320  1.71553  -3.54049
O  2.38924  2.80046  -2.88553
O  1.53572  1.41261  -4.43683
O  3.33423  0.81708  -3.36242



No. 2
The following is a quantum chemistry calculation of 11 unconnected molecules or ions with the total composition C71H63O26PS, from OMol25.

Results
Net charge ... 0
Orbital gap ... 7.7 eV
Spin multiplicity ... 1

Element x y z (Å)
C  -0.80002  -0.55549  -1.93410
O  -1.72638  -0.17045  -0.93496
C  -1.39094  1.09473  -0.38958
C  -1.83458  1.21772  1.03820
C  -0.97193  0.43000  2.02227
C  -1.29357  -1.06877  2.12193
C  -0.48165  -1.98979  1.22157
C  1.01150  -1.67651  1.24256
C  1.79805  -2.83098  0.63100
C  2.97842  -2.41616  -0.23888
C  4.07344  -1.55517  0.38690
O  5.19718  -1.53146  -0.49092
P  3.57174  0.24348  0.59630
O  4.62654  1.20233  0.20260
C  4.64420  -2.07867  1.68759
O  3.62153  -2.07252  2.70039
S  3.00836  -3.59761  2.91133
O  2.08618  -3.41377  3.98405
O  2.07596  -3.87177  1.58648